NT Eschatology—Gospels Part 05
-- These records of crystals were left in the article by mistake --
........
(1)
Calculated powder XRD pattern
Compound: HfCo7
Radiation: Cu Ka
Structure: a DFT-relaxed cell (PBE, the Materials Project)
No peak broadening, texture or thermal motion is included.

The 8 most intense peaks (15 to 90 degrees two-theta), in order of falling intensity:
| 2theta | intensity | index |
| --- | --- | --- |
| 43.12 | 100.0 | 2 2 1 |
| 49.44 | 16.1 | 0 4 0 |
| 49.87 | 15.8 | 4 0 0 |
| 51.31 | 15.0 | 0 0 2 |
| 30.43 | 14.2 | 1 1 1 |
| 88.26 | 10.7 | 2 6 1 |
| 88.91 | 10.7 | 6 2 1 |
| 17.07 | 9.8 | 1 1 0 |

Structural model:
a b c (Å): 7.315 7.374 3.561
angles (deg): 90.00 90.00 90.00
Space group Cmmm (No. 65)
Inequivalent atoms, fractional coordinates:
Hf  0.000  0.000  0.000
Co  0.000  0.269  0.500
Co  0.000  0.500  0.000
Co  0.233  0.500  0.500
Co  0.250  0.250  0.000

***

(2)
Calculated powder XRD pattern
Compound: Sm3RuO7
Radiation: Cu Ka
Structure: a DFT-relaxed cell (PBE, the Materials Project)
No peak broadening, texture or thermal motion is included.

The 8 most intense peaks (15 to 90 degrees two-theta), in order of falling intensity:
| 2theta | intensity | index |
| --- | --- | --- |
| 28.88 | 100.0 | 2 0 2 |
| 29.20 | 84.2 | 2 2 0 |
| 48.16 | 43.9 | 4 2 2 |
| 33.89 | 40.5 | 0 2 2 |
| 57.42 | 24.7 | 2 2 4 |
| 33.18 | 20.4 | 4 0 0 |
| 48.28 | 17.9 | 0 0 4 |
| 31.57 | 14.2 | 2 2 1 |

Structural model:
a b c (Å): 10.800 7.423 7.540
angles (deg): 90.00 90.00 90.00
Space group Cmcm (No. 63)
Inequivalent atoms, fractional coordinates:
Sm  0.000  0.000  0.000
Sm  0.222  0.302  0.250
Ru  0.000  0.500  0.000
O  0.000  0.415  0.250
O  0.127  0.312  0.539
O  0.132  0.025  0.250

***

(3)
Calculated powder XRD pattern
Compound: LiSm2Al
Radiation: Cu Ka
Structure: a DFT-relaxed cell (PBE, the Materials Project)
No peak broadening, texture or thermal motion is included.

The 8 most intense peaks (15 to 90 degrees two-theta), in order of falling intensity:
| 2theta | intensity | index |
| --- | --- | --- |
| 34.14 | 100.0 | 2 2 0 |
| 23.96 | 79.8 | 2 0 0 |
| 61.11 | 37.2 | 4 2 2 |
| 55.30 | 32.9 | 4 2 0 |
| 42.14 | 24.3 | 2 2 2 |
| 49.05 | 18.0 | 4 0 0 |
| 82.04 | 16.1 | 6 2 0 |
| 77.02 | 15.5 | 6 0 0 |

Structural model:
a b c (Å): 7.429 7.429 7.429
angles (deg): 90.00 90.00 90.00
Space group Fm-3m (No. 225)
Inequivalent atoms, fractional coordinates:
Li  0.000  0.000  0.000
Sm  0.250  0.250  0.250
Al  0.000  0.000  0.500

***

(4)
Calculated powder XRD pattern
Compound: NaTmO2
Radiation: Cu Ka
Structure: a DFT-relaxed cell (PBE, the Materials Project)
No peak broadening, texture or thermal motion is included.

The 8 most intense peaks (15 to 90 degrees two-theta), in order of falling intensity:
| 2theta | intensity | index |
| --- | --- | --- |
| 17.30 | 100.0 | 1 1 0 |
| 38.65 | 74.0 | 2 4 -1 |
| 32.77 | 58.4 | 0 4 1 |
| 26.15 | 47.2 | 1 3 -1 |
| 36.33 | 43.2 | 0 0 2 |
| 32.16 | 32.2 | 2 0 0 |
| 32.95 | 29.2 | 2 0 -2 |
| 53.56 | 27.1 | 2 4 1 |

Structural model:
a b c (Å): 6.620 13.119 5.881
angles (deg): 90.00 122.77 90.00
........
-- So much for the records of crystals --
For the last several posts we have been going through a sermon attributed to Jesus commonly called “The Olivet Discourse.” Within this sermon, some people see the “end of the world.” But our investigation has been leading us to a different conclusion. Specifically, it has been leading us to the destruction of the Temple (and Jerusalem) in 70 CE. While some people would agree with us up to this point, they would contend that with the next section(s), Jesus has switched from talking about the Temple’s destruction and moved to the “end of the world” and the “Second Coming.” They see this for a number of reasons. First, as we have noted, over and over Jesus referred to his contemporaries (i.e., the disciples and the nation as a whole that were living at the same time as Jesus). Second, Jesus gave them signs and symbols that were clues for them about the coming war with Rome and the destruction of the Temple. Third, the persecutions that Jesus described were taking place during the life of the early church. But then, starting at verse 36, some believe that Jesus changed his focus. We looked at this verse a little differently last time, so we’ll start with it here.
“But nobody knows when that day or hour will come, not the heavenly angels and not the Son. Only the Father knows.”
Here, some claim, Jesus clearly started a new topic. “While there were signs pointing to the coming destruction of Jerusalem and the Temple,” they say, “Jesus claims that there won’t be signs pointing to the end of the world. Beforehand, Jesus apparently knew when the fall of Jerusalem would take place (because he gave the disciples clues to when it would happen), here Jesus claims that even he doesn’t know when the end of the world would be.”
But, as we noted last time, that line of thinking doesn’t really make sense in the context. Certainly Jesus gave his contemporaries signs for them to look for, but did he tell them the exact moment when Jerusalem and the Temple would be destroyed? Did he say, like Moses to Pharaoh, “at midnight?” No. While there were signs that would lead them to understand that it’s destruction was close, those signs didn’t tell them the exact moment. That’s the whole point of signs. If Jesus knew when Jerusalem was to be overthrown, he would have simply told them—August 70 CE. But he didn’t. Because he didn’t know. That’s what he told them in verse 36. In other words, as Jesus was telling the disciples all of the signs, he wanted to make sure they understood that the exact moment wasn’t known to anyone but Yahweh. That’s what they asked about and that’s what he told them. “I don't know for sure, but here are some things to look out for that’ll let you know that it’s coming.” That’s the meaning of verse 36.
Now let’s turn to the next section.
“As it was in the time of Noah, so it will be at the coming of the Human One. In those days before the flood, people were eating and drinking, marrying and giving in marriage, until the day Noah entered the ark. They didn’t know what was happening until the flood came and swept them all away. The coming of the Human One will be like that. At that time there will be two men in the field. One will be taken and the other left. Two women will be grinding at the mill. One will be taken and the other left. Therefore, stay alert! You don’t know what day the Lord is coming. But you understand that if the head of the house knew at what time the thief would come, he would keep alert and wouldn’t allow the thief to break into his house. Therefore, you also should be prepared, because the Human One will come at a time you don’t know.”
In this section, some people see all kinds of things, most predominantly the so-called “rapture” of the church. That is, some will say, “Perhaps Jesus was talking about the fall of Jerusalem in the generation of the disciples, but now he’s definitely talking about the Rapture.” Is that really what’s going on here? Is that what Jesus was talking about? I don’t think the context supports this view. Let’s break it down and see what Jesus was referring to.
First, the phrase “the Human One” (or “Son of Man”). As we saw in a previous post, this phrase refers to Daniel 7. In that passage we see Israel represented by a human being, a True Israelite, who’s exalted to a place of honor (the right hand of the Ancient One) and vindicated. I submit that this is still the meaning when Jesus used it here. In fact, that’s the only reference to the Human One. The exalted one defeated the monsters who were attacking and persecuting and oppressing God’s people. At his exaltation, the Human One was vindicated for his actions. This exaltation included all the power and authority of the monsters being given to the Human One. That is, “all authority in heaven and on earth” would be given to the Human One. Whenever Jesus said the phrase “Human One,” that’s what people heard. The phrase “Human One,” then, refers to Jesus’ exaltation and vindication.
This vindication will be like “it was in the time of Noah” (verse 37). In Noah’s time, everyone was living like nothing was going on—life as usual. But then the flood came and “swept them all away.” According to the story, the flood was Yahweh’s judgment. Jesus said, “That’s the way it’ll be when I’m vindicated.” Then he describes those who will be “swept...away,” i.e., those who will be taken in judgement. “At that time,” he said, “there will be two men in the field. One will be taken and the other left. Two women will be grinding at the mill. One will be taken and the other left.” (verses 40-41). How someone jumps from judgment to rapture in these statements is rather shocking. Jesus just said his vindication would be a judgment like that of Noah’s day. The person “taken” was not in taken in rapture but in judgment! The phrase “will be taken” is equal to the “flood came and swept them all away.” In other words, the destruction of Jerusalem and the Temple would be Yahweh’s judgment upon Jesus’ generation just like the flood was Yahweh’s judgment of Noah’s generation.
And, just so we don’t miss the fact that Jesus didn’t change subjects, he told the disciples, i.e., those with him on the Mount of Olives, “Therefore, [you] stay alert! You don’t know what day the Lord is coming…Therefore, you also should be prepared, because the Human One will come at a time you don’t know” (verses 42-44). Once more we see that Jesus is telling the disciples about things they’ll experience. He isn’t skipping around and talking about different things here—some things they’ll experience and other things other people will experience thousands of years in their future. No. He’s laser focused on answering the disciples’ question about when the Temple would be destroyed.
That’s enough for now. Click here for our next post as we will finish up our New Testament background with a glance at the closing stories Jesus told his disciples as recorded in the rest of Matthew 24 and all of 25.
In the Love of the Three in One,
Br. Jack+, LC